Brief:
Filter the calculation results below: keep the lines with the word "Sc1".
File:
'''
A relaxed Sc3TeSeS crystal, computed with PBE.

Cell lengths 6.3936, 6.4453, 7.5979 Å; angles 64.91, 83.10, 73.42 degrees
Sites, in units of the cell vectors:
Sc1 0.0040 0.1642 0.1333
Sc2 0.2502 0.2441 0.5109
Sc3 0.4963 0.7023 0.1333
Sc4 0.5037 0.2977 0.8667
Sc5 0.7498 0.7559 0.4891
Sc6 0.9960 0.8358 0.8667
Te1 0.2500 0.7501 0.5000
Te2 0.7500 0.2499 0.5000
Se1 0.2501 0.4352 0.1295
Se2 0.7499 0.5648 0.8705
S1 0.2498 0.0633 0.8737
S2 0.7502 0.9367 0.1263

## Properties
Formation energy from raw total energies ... -8.4 eV/f.u.
Fermi-level density of states ... 11.23 states/eV/cell


Material: AcPr2Pd
Method: DFT, PBE
State: optimized geometry

Cell: 4.1019 4.1019 29.1926 Å, 90.00 90.00 120.00°
Space group R3m (No. 160, hexagonal axes)
Inequivalent atoms, fractional coordinates:
1 Ac 0.0000 0.0000 0.0000 x3
2 Pr 0.0000 0.0000 0.2269 x3
3 Pr 0.0000 0.0000 0.4415 x3
4 Pd 0.0000 0.0000 0.8345 x3


Material: Ac2Pr3Pd4
Method: DFT, PBE
State: optimized geometry

Cell: 7.8756 7.9344 8.4909 Å, 90.00 108.28 90.00°
Space group P2_1/c (No. 14)
Inequivalent atoms, fractional coordinates:
1 Ac 0.2007 0.1739 0.0961 x4
2 Pr 0.2429 0.6627 0.2513 x4
3 Pr 0.5000 0.0000 0.5000 x2
4 Pd 0.0936 0.5374 0.8789 x4
5 Pd 0.4989 0.6300 0.6214 x4


Material: Ac3Pr2Pd2
Method: DFT, PBE
State: optimized geometry

Cell: 13.1979 4.0437 9.6521 Å, 90.00 114.63 90.00°
Space group C2/m (No. 12)
Inequivalent atoms, fractional coordinates:
1 Ac 0.0000 0.0000 0.0000 x2
2 Ac 0.1156 0.0000 0.4377 x4
3 Pr 0.1674 0.5000 0.8141 x4
4 Pd 0.1672 0.5000 0.2221 x4


Material: AcPr2Pd
Method: DFT, PBE
State: optimized geometry

Cell: 7.4982 10.4620 6.7527 Å, 90.00 90.00 90.00°
Space group Pnma (No. 62)
Inequivalent atoms, fractional coordinates:
1 Ac 0.0281 0.2500 0.1449 x4
2 Pr 0.1775 0.0622 0.6660 x8
3 Pd 0.1161 0.7500 0.4137 x4


Material: Ac2Pr2Pd3
Method: DFT, PBE
State: optimized geometry

Cell: 4.3819 7.4590 7.5011 Å, 78.57 73.05 89.98°
Space group P-1 (No. 2)
Inequivalent atoms, fractional coordinates:
1 Ac 0.1220 0.3700 0.2554 x2
2 Pr 0.3621 0.1358 0.7749 x2
3 Pd 0.2516 0.7556 0.9979 x2
4 Pd 0.5000 0.5000 0.5000 x1


Material: AcPr4Pd2
Method: DFT, PBE
State: optimized geometry

Cell: 8.1834 6.8052 8.4940 Å, 90.00 112.96 90.00°
Space group P2_1/m (No. 11)
Inequivalent atoms, fractional coordinates:
1 Ac 0.1452 0.2500 0.0211 x2
2 Pr 0.0191 0.2500 0.3954 x2
3 Pr 0.2647 0.7500 0.3581 x2
4 Pr 0.4018 0.0078 0.7660 x4
5 Pd 0.2516 0.7500 0.9941 x2
6 Pd 0.3735 0.2500 0.4025 x2


Material: Ac2Pr2Pd15
Method: DFT, PBE
State: optimized geometry

Cell: 9.4239 9.4239 14.3705 Å, 90.00 90.00 120.00°
Space group R-3m (No. 166, hexagonal axes)
Inequivalent atoms, fractional coordinates:
1 Ac 0.0000 0.0000 0.1398 x6
2 Pr 0.0000 0.0000 0.3919 x6
3 Pd 0.0000 0.3070 0.5000 x18
4 Pd 0.0000 0.5000 0.0000 x9
5 Pd 0.0068 0.5034 0.6538 x18


Material: AcPrPd
Method: DFT, PBE
State: optimized geometry

Cell: 4.9297 4.9297 4.4942 Å, 90.00 90.00 120.00°
Space group P3m1 (No. 156)
Inequivalent atoms, fractional coordinates:
1 Ac 0.0000 0.0000 0.0000 x1
2 Pr 0.3333 0.6667 0.4736 x1
3 Pd 0.6667 0.3333 0.6576 x1


Material: AcPrPd
Method: DFT, PBE
State: optimized geometry

Cell: 3.7801 3.7801 13.1714 Å, 90.00 90.00 90.00°
Space group I4mm (No. 107)
Inequivalent atoms, fractional coordinates:
1 Ac 0.0000 0.0000 0.0000 x2
2 Pr 0.0000 0.0000 0.7304 x2
3 Pd 0.0000 0.0000 0.3556 x2


Material: AcPr2Pd
Method: DFT, PBE
State: optimized geometry

Cell: 5.6507 5.6507 3.8607 Å, 90.00 90.00 90.00°
Space group P4/mmm (No. 123)
Inequivalent atoms, fractional coordinates:
1 Ac 0.0000 0.0000 0.0000 x1
2 Pr 0.0000 0.5000 0.5000 x2
3 Pd 0.5000 0.5000 0.0000 x1


Material: AcPr2Pd4
Method: DFT, PBE
State: optimized geometry

Cell: 4.0538 4.4682 19.3401 Å, 90.00 90.00 90.00°
Space group Immm (No. 71)
Inequivalent atoms, fractional coordinates:
1 Ac 0.0000 0.0000 0.0000 x2
2 Pr 0.0000 0.5000 0.1854 x4
3 Pd 0.0000 0.0000 0.4303 x4
4 Pd 0.0000 0.5000 0.3426 x4
'''
Completed:
Sc1 0.0040 0.1642 0.1333